Monday, March 06, 2006

Who came up with that idea?

This morning I wanted to brush my teeth, so I held my electric toothbrush in one hand and the toothpaste in the other. I twisted the cap of the tube of toothpaste and gave the tube a little pinch…..huh, nothing? That could not be, I had just bought new toothpaste (funky blue with white stripes :)). So, attempt two: I gave the tube a real squeeze. Still nothing! Huh…..flabbergasted I looked at the tube and I really started to think about brushing my teeth without toothpaste for once because I really wasn’t in the mood for a struggle with a non-cooperating tube of toothpaste. But I decided against it because that wouldn’t leave me with clean teeth and a fresh breath, now would it?

Third time lucky, I thought and gave it another try. I put down my electric toothbrush, grabbed the tube with both hands and gave it a real hard squeeze. Hooray….toothpaste, just the size of a pea, but enough! While I was happily brushing my eyes darted through the rest of the bathroom and all of a sudden I noticed that many things come in plastic tubes these days. Hand cream, body lotion, and facial cream and hair products. I suddenly realised that I have to struggle every day to get things out of tubes. Who on earth came up with the idea of putting all these products in tubes? Don’t get me wrong, I have nothing against tubes, but plastic tubes? What was wrong with the old collapsible, easy to roll up aluminium tubes? At least when you used those, the product was willing to come out! Nowadays you have to tube wrestle to get something out.

And how about this, did you know that about a 10% (or even more) of the product will never see a ray of light. When you think the plastic tube is empty, there is still a lot product left. You don’t believe me? Cut one open (be careful :)) when you think you are finished with it :)

Hmmz… it must have been a manufacturer who came up with the plastic tube idea. The sooner we dispose of one of his tubes, the sooner we buy new! Wow, that is ingenious way of making money. His company must be a multinational by now! :)


qaminante said...

My toothpaste is funky blue with white stripes in a plastic tube too... and the tube is currently inserted into a gadget (strawberry-huller!), which keeps the flat end rolled up, as I found necessary to keep the toothpaste at the business end of the tube...
The worst tubes of this type are the ones that have wide round plastic tops with a flip cap, that they are supposed to stand on; I have to take the whole top off and virtually stand on the fat end to get the last bits (e.g. handcream) out of that sort of tube.
So you are not alone in your stuggles with plastic tubes. Mind you, I heard a strange noise in my washing machine the other day which turned out to be from an almost-finished metal tube of Germalene (antiseptic) that must have fallen in the laundry basket - at least a plastic one would not have made such a racket!

Dakota said...

So Stu , I either need to find a guy who is willing to consume the last of my toothpaste or I need to learn this intricate folding technique :)

Or I could go for the other option, get a gadget like Qaminante did.
And btw Qaminante I know the type of tubes you mean. At one point all that comes out of the tube is air and no product. When you take the whole top of there is still enough product to last you another week or so :)

Here the page breaks off for records of crystals:
+++
1.
Starting from the GGA-PBE geometry in Alexandria, the X-ray diffraction stick pattern of Li2CrAg was simulated for Cu Ka.
Intensities are scaled so that the largest is 100.

Cell and atoms:
abc: 2.956 4.076 5.681
angles: 90.00 90.00 90.00
Space group Pmm2 (No. 25)
Inequivalent atoms, fractional coordinates:
Li1 0.000 0.000 0.000 [1 per cell]
Li2 0.500 0.500 0.259 [1 per cell]
Cr1 0.500 0.500 0.743 [1 per cell]
Ag1 0.000 0.000 0.504 [1 per cell]

Top 10 peaks for 5° ≤ 2θ ≤ 70°, most intense first:
| Position (°2θ) | I (rel.) | index |
| --- | --- | --- |
| 15.60 | 100 | 0 0 1 |
| 26.92 | 49 | 0 1 1 |
| 37.59 | 47 | 1 1 0 |
| 38.63 | 43 | 0 1 2 |
| 40.93 | 35 | 1 1 1 |
| 44.22 | 29 | 1 0 2 |
| 34.20 | 26 | 1 0 1 |
| 64.51 | 17 | 1 2 2 |
| 44.46 | 14 | 0 2 0 |
| 47.40 | 11 | 0 2 1 |



2.
Starting from the GGA-PBE geometry in Alexandria, the X-ray diffraction stick pattern of LiCr2Ag was simulated for Cu Ka.
Intensities are scaled so that the largest is 100.

Cell and atoms:
abc: 9.042 3.007 4.820
angles: 90.00 109.18 90.00
Space group Cm (No. 8)
Inequivalent atoms, fractional coordinates:
Li1 0.000 0.000 0.000 [2 per cell]
Cr1 0.265 0.500 0.371 [2 per cell]
Cr2 0.491 0.000 0.484 [2 per cell]
Ag1 0.254 0.000 0.862 [2 per cell]

Top 10 peaks for 5° ≤ 2θ ≤ 70°, most intense first:
| Position (°2θ) | I (rel.) | index |
| --- | --- | --- |
| 39.22 | 100 | 1 1 1 |
| 43.55 | 81 | 3 1 -1 |
| 20.80 | 72 | 2 0 0 |
| 35.42 | 51 | 1 1 -1 |
| 42.33 | 45 | 4 0 0 |
| 23.42 | 44 | 2 0 -1 |
| 38.21 | 43 | 2 0 -2 |
| 39.60 | 36 | 0 0 2 |
| 31.55 | 25 | 1 1 0 |
| 52.83 | 20 | 3 1 1 |



3.
Starting from the GGA-PBE geometry in Alexandria, the X-ray diffraction stick pattern of LiCr2Ag was simulated for Cu Ka.
Intensities are scaled so that the largest is 100.

Cell and atoms:
abc: 2.901 4.523 8.714
angles: 90.00 90.00 90.00
Space group Cmm2 (No. 35)
Inequivalent atoms, fractional coordinates:
Li1 0.000 0.000 0.000 [2 per cell]
Cr1 0.000 0.000 0.455 [2 per cell]
Cr2 0.000 0.500 0.266 [2 per cell]
Ag1 0.000 0.500 0.735 [2 per cell]

Top 10 peaks for 5° ≤ 2θ ≤ 70°, most intense first:
| Position (°2θ) | I (rel.) | index |
| --- | --- | --- |
| 42.44 | 100 | 1 1 2 |
| 10.15 | 98 | 0 0 1 |
| 20.38 | 48 | 0 0 2 |
| 39.86 | 32 | 0 2 0 |
| 41.45 | 22 | 0 0 4 |
| 36.81 | 19 | 1 1 0 |
| 38.28 | 18 | 1 1 1 |
| 56.62 | 14 | 1 1 4 |
| 58.86 | 14 | 0 2 4 |
| 30.78 | 13 | 0 0 3 |



4.
Starting from the GGA-PBE geometry in Alexandria, the X-ray diffraction stick pattern of LiCrAg2 was simulated for Cu Ka.
Intensities are scaled so that the largest is 100.

Cell and atoms:
abc: 4.632 4.632 3.135
angles: 90.00 90.00 90.00
Space group P4/mmm (No. 123)
Inequivalent atoms, fractional coordinates:
Li1 0.000 0.000 0.000 [1 per cell]
Cr1 0.500 0.500 0.000 [1 per cell]
Ag1 0.000 0.500 0.500 [2 per cell]

Top 10 peaks for 5° ≤ 2θ ≤ 70°, most intense first:
| Position (°2θ) | I (rel.) | index |
| --- | --- | --- |
| 39.80 | 100 | 1 1 1 |
| 38.88 | 54 | 2 0 0 |
| 27.22 | 48 | 1 1 0 |
+++

b o o said...

i just cut out the other end & cover it with saran wrap to prevent it from drying out. this works for most things, from toothpaste to moisturizer :)

p/s if u wanna try stu's way, u may wanna consider a clothes peg to hold the roll up bit ;)

Dakota said...

Oh you are such a clever lady boo.
I’ve never thought about using a clothes peg :)

And it is a great comfort to know that I’m not the only one who cuts up tubes :D

Phil said...

I found this Dakota

Dakota said...

Oh, that is a handy gadget, Phil. Thanks :)